Around the ArchdioceseFaith Formation

Video series promotes benefits of natural family planning

By Jill Kruse
Witness Editorial Assistant

CEDAR RAPIDS — When Cassie Schetgen and her husband, Brandon, were asked earlier this year if they would consider appearing in a video promoting natural family planning (NFP), Cassie said she was surprised, but also very excited.

“We said ‘yes’ almost right away because NFP is a very important part of our marriage, and we believe it could be that for others, too,” she said. “If there was a way we could witness to the impact it’s had on our married life and possibly help others in theirs, then I wanted to take part in it!”

The 48-second video that the Schetgens, parishioners of Holy Spirit Parish in Dubuque, appear in is one in a series of short videos produced by the Archdiocese of Dubuque’s Office of Family Life and the archdiocesan Fertility Care Committee that looks at the “top 10 reasons to practice NFP.”

Cassie and Brandon star in the video for reason number nine – practicing natural family planning in today’s world is “counter-­cultural.”

The top 10 videos are part of a larger effort by the archdiocese to create more awareness of what natural family planning is and the benefits it offers.

Natural family planning is an umbrella term describing a variety of methods that can be used to help achieve or avoid pregnancy based upon the naturally occurring signs of a woman’s cycle; NFP involves no artificial means.

“When Archbishop Jackels came here, he asked that we boost our efforts to promote natural family planning in the archdiocese,” said Linda Manternach, director of the archdiocese’s Office of Family Life.

### Next to the article, the page also holds calculated crystals
'''
No. 1
Entry from the Alexandria database: a relaxed structure of Hf2ZnBi (GGA-PBE).

Cell lengths 3.8495, 3.8495, 21.3919 Å; angles 90.00, 90.00, 120.00 degrees
Closest atoms and distances in Å follow each position.
Sites, in units of the cell vectors:
Hf1 0.0000 0.0000 0.2400  3 Zn 2.72, 3 Bi 2.99
Hf2 0.0000 0.0000 0.7600  3 Zn 2.72, 3 Bi 2.99
Hf3 0.3333 0.6667 0.4266  3 Zn 2.72, 3 Bi 2.99
Hf4 0.3333 0.6667 0.9067  3 Zn 2.72, 3 Bi 2.99
Hf5 0.6667 0.3333 0.0933  3 Zn 2.72, 3 Bi 2.99
Hf6 0.6667 0.3333 0.5734  3 Zn 2.72, 3 Bi 2.99
Zn1 0.0000 0.0000 0.5000  6 Hf 2.72
Zn2 0.3333 0.6667 0.1667  6 Hf 2.72
Zn3 0.6667 0.3333 0.8333  6 Hf 2.72
Bi1 0.0000 0.0000 0.0000  6 Hf 2.99
Bi2 0.3333 0.6667 0.6667  6 Hf 2.99
Bi3 0.6667 0.3333 0.3333  6 Hf 2.99

Output
- excess energy over the best structure of this formula in the dataset (eV/f.u.) = 0.36
- ΔH_f (0 K) (eV per formula unit) = 0.28


No. 2
Entry from the Alexandria database: a relaxed structure of Sm3PuSb4 (GGA-PBE).

Cell lengths 6.3081, 6.3081, 6.3081 Å; angles 90.00, 90.00, 90.00 degrees
Closest atoms and distances in Å follow each position.
Sites, in units of the cell vectors:
Sm1 0.0000 0.0000 0.5000  6 Sb 3.15
Sm2 0.0000 0.5000 0.0000  6 Sb 3.15
Sm3 0.5000 0.0000 0.0000  6 Sb 3.15
Pu1 0.5000 0.5000 0.5000  6 Sb 3.15
Sb1 0.0000 0.0000 0.0000  6 Sm 3.15
Sb2 0.0000 0.5000 0.5000  4 Sm 3.15, 2 Pu 3.15
Sb3 0.5000 0.0000 0.5000  4 Sm 3.15, 2 Pu 3.15
Sb4 0.5000 0.5000 0.0000  4 Sm 3.15, 2 Pu 3.15

Output
- excess energy over the best structure of this formula in the dataset (eV/f.u.) = 0.02
- ΔE_f (raw) (kcal/mol of atoms) = -23.6


No. 3
Entry from the Alexandria database: a relaxed structure of Sr2RhS (GGA-PBE).

Cell lengths 7.8152, 7.8152, 7.2983 Å; angles 90.00, 90.00, 90.00 degrees
Closest atoms and distances in Å follow each position.
Sites, in units of the cell vectors:
Sr1 0.2486 0.2500 0.1250  2 S 2.90, 2 Rh 2.92
Sr2 0.2500 0.7486 0.3750  2 S 2.90, 2 Rh 2.92
Sr3 0.2500 0.7514 0.8750  2 S 2.90, 2 Rh 2.92
Sr4 0.2514 0.2500 0.6250  2 S 2.90, 2 Rh 2.92
Sr5 0.7486 0.7500 0.6250  2 S 2.90, 2 Rh 2.92
Sr6 0.7500 0.2486 0.8750  2 S 2.90, 2 Rh 2.92
Sr7 0.7500 0.2514 0.3750  2 S 2.90, 2 Rh 2.92
Sr8 0.7514 0.7500 0.1250  2 S 2.90, 2 Rh 2.92
Rh1 0.0000 0.0000 0.5000  4 Sr 2.92
Rh2 0.0000 0.5000 0.7500  4 Sr 2.92
Rh3 0.5000 0.0000 0.2500  4 Sr 2.92
Rh4 0.5000 0.5000 0.0000  4 Sr 2.92
S1 0.0000 0.0000 0.0000  4 Sr 2.90
S2 0.0000 0.5000 0.2500  4 Sr 2.90
S3 0.5000 0.0000 0.7500  4 Sr 2.90
S4 0.5000 0.5000 0.5000  4 Sr 2.90

Output
- ΔE_f (raw) (kcal/mol of atoms) = -13.1


No. 4
Entry from the Alexandria database: a relaxed structure of CaGa2Cu9 (GGA-PBE).

Cell lengths 7.9202, 7.9202, 7.9202 Å; angles 100.08, 100.08, 130.53 degrees
Closest atoms and distances in Å follow each position.
Sites, in units of the cell vectors:
Ca1 0.3750 0.6250 0.7500  18 Cu 3.19-3.31, 4 Ga 3.56
Ca2 0.6250 0.3750 0.2500  18 Cu 3.19-3.31, 4 Ga 3.56
Ga1 0.0000 0.0000 0.0000  10 Cu 2.49-2.67
'''

Manternach’s office responded by forming a Fertility Care Committee to look at ways in which NFP might be promoted. Two archdiocesan priests – Fathers Jerry Kopacek and Mark Ressler – were invited to join the committee, as were a number of NFP providers who independently teach natural family planning in the Archdiocese of Dubuque.

In January of this year, the committee created their top 10 reasons to use NFP. Intending to appeal to a variety of different audiences, the committee not only touted NFP’s compatibility with church teaching, but it also incorporated practical factors into the list such as NFP’s effectiveness and its affordability.

Manternach and the committee worked with communications staff at the archdiocese to create a poster and a brochure that would help them share the top 10 list they had created.

“We wanted to make these ideas available to the parishes, so we had materials designed,” Manternach said. “From there, it morphed into the idea of making a few videos. We knew we wanted the videos to be attractive and use local people, and we wanted them to be done professionally.”

They employed the help of OnMedia, a division of Mediacom Business, to help with video production. Dan Rouse, the creative services manager at OnMedia, served as the creative director for the project, which included the work of producers in Cedar Rapids, Des Moines, Cedar Falls and Dubuque.

“Video is vital to promote a company’s or organization’s message today, whether it’s on TV, social media, internet advertising or websites,” Rouse said. “I believe it was a wise move for Linda and the committee to recognize this fact in trying to reach Catholics who need to hear about NFP.”

In addition to the top 10 videos, Rouse and his team made eight others: three that describe specific types of NFP methods from people who teach them, three testimonials from couples around the archdiocese who practice NFP, as well as an introductory video and an overview video.

Rouse said he felt the people who appeared in the videos had valuable insights that others will find useful.

“Their stories will definitely connect with viewers,” he said. “Each of them was committed to living out their faith in every aspect of their lives, especially related to their sexuality. I appreciate them talking openly and honestly on video about such an intimate and personal topic.”

Rouse, who usually works with his team on videos for local businesses, said he felt blessed to have the opportunity to work on this faith-based project. Rouse is a member of St. Patrick Parish in Cedar Rapids and is in formation for the permanent diaconate.

“We prayed before each session (which is something I don’t usually get to do with other clients) for the people on camera and that their message would touch the lives of those who hear it,” Rouse said.

Nicole Gansen of OnMedia did the edit­ing and the graphics for the videos and helped record several of them. Gansen said NFP was not something she knew a lot about prior to working on this project but said she learned a great deal in the process and was impressed by the couples that spoke about it.

“From what I’ve witnessed it’s easy to judge NFP as difficult and not worth the time … but hearing these couples talk about something so intimate in such an open and honest way was eye-opening,” Gansen said.

“Like anything else worth doing, whether getting into shape or learning a new skill, it takes time, patience and trust … trust in your spouse, trust in your intuition and ultimately trust in God,” she said. “I am blown away by the faith of the couples I met; it was inspiring.”

The videos that OnMedia produced can be viewed on the newly redesigned NFP page on the Archdiocese of Dubuque’s website:

This fall, the corresponding posters that promote the top 10 reasons to practice NFP were sent out to the parishes of the archdiocese, along with brochures for parish bulletins. The archdiocese is also promoting the top 10 videos via social media.

“The goal of the videos and all our efforts is to promote the goodness of NFP. I hope we are able to raise awareness and help people understand the options it presents,” Manternach said.

Nannet Horton, a member of the Fertility Care Committee who appears in one of the videos, has similar hopes.

A member of St. Thomas Aquinas Church and Catholic Student Center in Ames, Horton has been an instructor of the Family of the Americas Ovulation Method of natural family planning for three years and with her husband, Bob, has led Pre-Cana classes for four.

Horton said a lot of the young couples she works with are completely unfamiliar with natural family planning when she first meets them.

“Many indicate that they are unaware of NFP and have never heard of it before,” Horton said. “They are very curious about it, and after an introductory session, many are deeply amazed at how the woman’s fertility works and how easy it is to learn the method.”

Horton would like to see more couples look into natural family planning following the archdiocese’s promotional efforts and hopes those who watch the videos take from them at least three things: that NFP methods are informed by science, that the knowledge of a woman’s cycle can equip a couple to confidentially try to achieve or avoid pregnancy, and that learning NFP methods are easier than one might think and that there are teachers in the archdiocese available to guide couples in NFP practice.

The video project with the archdiocese is one that Horton has been excited to be a part of since, ultimately, “NFP is not just about birth regulation,” she said, “but it is an integral part of strengthening the marriage bond of husbands and wives,” and that is something Horton said she feels privileged to be able to help promote.